### Exercise
Return the whole of the calculation results further below without additions, please.

### Given
For Ca2TcNiO6, a crystal structure in Alexandria, relaxed with GGA+U gives the theoretical PXRD pattern in this record (Cu Kα, 1.54184 Å).

Principal peaks in the range 5 to 70 degrees two-theta, by angle:
d = 4.269 Å, 20.8 deg, rel. 256; d = 3.859 Å, 23.0 deg, rel. 322; d = 2.863 Å, 31.2 deg, rel. 1000; d = 2.729 Å, 32.8 deg, rel. 453; d = 2.134 Å, 42.3 deg, rel. 150; d = 1.930 Å, 47.1 deg, rel. 384; d = 1.868 Å, 48.8 deg, rel. 140; d = 1.681 Å, 54.6 deg, rel. 215; d = 1.600 Å, 57.6 deg, rel. 331; d = 1.431 Å, 65.2 deg, rel. 144

Structural model:
```
Ca2TcNiO6
1.0
5.458 0.000 0.000
0.000 5.458 0.000
0.000 0.000 4.269
Ca Tc Ni O
2 1 1 6
Direct
0.000 0.500 0.000
0.500 0.000 0.000
0.000 0.000 0.549
0.500 0.500 0.608
0.000 0.000 0.135
0.237 0.237 0.664
0.237 0.763 0.664
0.500 0.500 0.131
0.763 0.237 0.664
0.763 0.763 0.664
```


Record 1
The following is a computed XRD peak list of Mg2CdMo. It was derived from the PBE geometry in Alexandria, using Cu Kα.
No peak broadening, texture or thermal motion is included.

Crystal structure
Unit cell a=3.576 b=4.514 c=9.517 alpha=90.00 beta=90.00 gamma=90.00
Atoms (fractional coordinates):
Mg1 0.000 0.000 0.000
Mg2 0.000 0.500 0.272
Mg3 0.500 0.000 0.272
Mg4 0.500 0.500 0.000
Cd1 0.000 0.000 0.530
Cd2 0.500 0.500 0.530
Mo1 0.000 0.500 0.772
Mo2 0.500 0.000 0.772

Top 8 peaks for 10° ≤ 2θ ≤ 90°, by intensity:
2θ (°)	I_rel
37.2	100
33.3	23
37.8	23
39.9	21
43.1	17
67.9	15
70.8	14
56.2	14



Record 2
The following is a computed XRD peak list of Mg2CdWN4. It was derived from the PBE geometry in Alexandria, using Cu Kα.
No peak broadening, texture or thermal motion is included.

Crystal structure
Unit cell a=6.940 b=5.885 c=5.500 alpha=90.00 beta=90.00 gamma=90.00
Atoms (fractional coordinates):
Mg1 0.248 0.169 0.000
Mg2 0.252 0.831 0.500
Mg3 0.748 0.831 0.500
Mg4 0.752 0.169 0.000
Cd1 0.000 0.336 0.499
Cd2 0.500 0.664 0.999
W1 0.000 0.677 0.005
W2 0.500 0.323 0.505
N1 0.000 0.364 0.918
N2 0.000 0.702 0.345
N3 0.219 0.830 0.883
N4 0.281 0.170 0.383
N5 0.500 0.298 0.845
N6 0.500 0.636 0.418
N7 0.719 0.170 0.383
N8 0.781 0.830 0.883

Top 8 peaks for 10° ≤ 2θ ≤ 90°, by intensity:
2θ (°)	I_rel
34.1	100
22.1	92
32.6	47
25.7	43
34.6	42
29.9	34
15.1	30
59.1	29



Record 3
The following is a computed XRD peak list of NaMg2Cd3. It was derived from the PBE geometry in Alexandria, using Cu Kα.
No peak broadening, texture or thermal motion is included.

Crystal structure
Unit cell a=3.586 b=3.586 c=10.793 alpha=90.00 beta=90.00 gamma=90.00
Atoms (fractional coordinates):
Na1 0.000 0.000 0.000
Mg1 0.000 0.000 0.343
Mg2 0.000 0.000 0.657
Cd1 0.500 0.500 0.188
Cd2 0.500 0.500 0.500
Cd3 0.500 0.500 0.812

Top 8 peaks for 10° ≤ 2θ ≤ 90°, by intensity:
2θ (°)	I_rel
35.4	100
24.8	52
63.5	22
43.7	14
57.4	13
50.9	12
85.7	10
63.4	8



Record 4
The following is a computed XRD peak list of Na2MgCd10. It was derived from the PBE geometry in Alexandria, using Cu Kα.
No peak broadening, texture or thermal motion is included.

Crystal structure
Unit cell a=8.844 b=14.262 c=5.904 alpha=90.00 beta=90.00 gamma=90.00
Atoms (fractional coordinates):
Na1 0.207 0.085 0.000
Na2 0.293 0.585 0.000
Na3 0.707 0.415 0.000
Na4 0.793 0.915 0.000
Mg1 0.000 0.000 0.500
Mg2 0.500 0.500 0.500
Cd1 0.010 0.668 0.500
Cd2 0.165 0.171 0.500
Cd3 0.165 0.834 0.238
Cd4 0.165 0.834 0.762
Cd5 0.173 0.493 0.500
Cd6 0.327 0.993 0.500
Cd7 0.335 0.334 0.238
Cd8 0.335 0.334 0.762
Cd9 0.335 0.671 0.500
Cd10 0.490 0.168 0.500
Cd11 0.510 0.832 0.500
Cd12 0.665 0.329 0.500
Cd13 0.665 0.666 0.238
Cd14 0.665 0.666 0.762
Cd15 0.673 0.007 0.500
Cd16 0.827 0.507 0.500
Cd17 0.835 0.166 0.238
Cd18 0.835 0.166 0.762
Cd19 0.835 0.829 0.500
Cd20 0.990 0.332 0.500

Top 8 peaks for 10° ≤ 2θ ≤ 90°, by intensity:
2θ (°)	I_rel
15.0	100
35.8	85
41.0	43
39.1	42
34.4	39
37.9	31
37.2	28
74.6	22



Please write out number 3 again, unchanged.
The following is a computed XRD peak list of NaMg2Cd3. It was derived from the PBE geometry in Alexandria, using Cu Kα.

### Outcome
For Ca2TcNiO6, a crystal structure in Alexandria, relaxed with GGA+U gives the theoretical PXRD pattern in this record (Cu Kα, 1.54184 Å).

Principal peaks in the range 5 to 70 degrees two-theta, by angle:
d = 4.269 Å, 20.8 deg, rel. 256; d = 3.859 Å, 23.0 deg, rel. 322; d = 2.863 Å, 31.2 deg, rel. 1000; d = 2.729 Å, 32.8 deg, rel. 453; d = 2.134 Å, 42.3 deg, rel. 150; d = 1.930 Å, 47.1 deg, rel. 384; d = 1.868 Å, 48.8 deg, rel. 140; d = 1.681 Å, 54.6 deg, rel. 215; d = 1.600 Å, 57.6 deg, rel. 331; d = 1.431 Å, 65.2 deg, rel. 144

Structural model:
```
Ca2TcNiO6
1.0
5.458 0.000 0.000
0.000 5.458 0.000
0.000 0.000 4.269
Ca Tc Ni O
2 1 1 6
Direct
0.000 0.500 0.000
0.500 0.000 0.000
0.000 0.000 0.549
0.500 0.500 0.608
0.000 0.000 0.135
0.237 0.237 0.664
0.237 0.763 0.664
0.500 0.500 0.131
0.763 0.237 0.664
0.763 0.763 0.664
```


Record 1
The following is a computed XRD peak list of Mg2CdMo. It was derived from the PBE geometry in Alexandria, using Cu Kα.
No peak broadening, texture or thermal motion is included.

Crystal structure
Unit cell a=3.576 b=4.514 c=9.517 alpha=90.00 beta=90.00 gamma=90.00
Atoms (fractional coordinates):
Mg1 0.000 0.000 0.000
Mg2 0.000 0.500 0.272
Mg3 0.500 0.000 0.272
Mg4 0.500 0.500 0.000
Cd1 0.000 0.000 0.530
Cd2 0.500 0.500 0.530
Mo1 0.000 0.500 0.772
Mo2 0.500 0.000 0.772

Top 8 peaks for 10° ≤ 2θ ≤ 90°, by intensity:
2θ (°)	I_rel
37.2	100
33.3	23
37.8	23
39.9	21
43.1	17
67.9	15
70.8	14
56.2	14



Record 2
The following is a computed XRD peak list of Mg2CdWN4. It was derived from the PBE geometry in Alexandria, using Cu Kα.
No peak broadening, texture or thermal motion is included.

Crystal structure
Unit cell a=6.940 b=5.885 c=5.500 alpha=90.00 beta=90.00 gamma=90.00
Atoms (fractional coordinates):
Mg1 0.248 0.169 0.000
Mg2 0.252 0.831 0.500
Mg3 0.748 0.831 0.500
Mg4 0.752 0.169 0.000
Cd1 0.000 0.336 0.499
Cd2 0.500 0.664 0.999
W1 0.000 0.677 0.005
W2 0.500 0.323 0.505
N1 0.000 0.364 0.918
N2 0.000 0.702 0.345
N3 0.219 0.830 0.883
N4 0.281 0.170 0.383
N5 0.500 0.298 0.845
N6 0.500 0.636 0.418
N7 0.719 0.170 0.383
N8 0.781 0.830 0.883

Top 8 peaks for 10° ≤ 2θ ≤ 90°, by intensity:
2θ (°)	I_rel
34.1	100
22.1	92
32.6	47
25.7	43
34.6	42
29.9	34
15.1	30
59.1	29



Record 3
The following is a computed XRD peak list of NaMg2Cd3. It was derived from the PBE geometry in Alexandria, using Cu Kα.
No peak broadening, texture or thermal motion is included.

Crystal structure
Unit cell a=3.586 b=3.586 c=10.793 alpha=90.00 beta=90.00 gamma=90.00
Atoms (fractional coordinates):
Na1 0.000 0.000 0.000
Mg1 0.000 0.000 0.343
Mg2 0.000 0.000 0.657
Cd1 0.500 0.500 0.188
Cd2 0.500 0.500 0.500
Cd3 0.500 0.500 0.812

Top 8 peaks for 10° ≤ 2θ ≤ 90°, by intensity:
2θ (°)	I_rel
35.4	100
24.8	52
63.5	22
43.7	14
57.4	13
50.9	12
85.7	10
63.4	8



Record 4
The following is a computed XRD peak list of Na2MgCd10. It was derived from the PBE geometry in Alexandria, using Cu Kα.
No peak broadening, texture or thermal motion is included.

Crystal structure
Unit cell a=8.844 b=14.262 c=5.904 alpha=90.00 beta=90.00 gamma=90.00
Atoms (fractional coordinates):
Na1 0.207 0.085 0.000
Na2 0.293 0.585 0.000
Na3 0.707 0.415 0.000
Na4 0.793 0.915 0.000
Mg1 0.000 0.000 0.500
Mg2 0.500 0.500 0.500
Cd1 0.010 0.668 0.500
Cd2 0.165 0.171 0.500
Cd3 0.165 0.834 0.238
Cd4 0.165 0.834 0.762
Cd5 0.173 0.493 0.500
Cd6 0.327 0.993 0.500
Cd7 0.335 0.334 0.238
Cd8 0.335 0.334 0.762
Cd9 0.335 0.671 0.500
Cd10 0.490 0.168 0.500
Cd11 0.510 0.832 0.500
Cd12 0.665 0.329 0.500
Cd13 0.665 0.666 0.238
Cd14 0.665 0.666 0.762
Cd15 0.673 0.007 0.500
Cd16 0.827 0.507 0.500
Cd17 0.835 0.166 0.238
Cd18 0.835 0.166 0.762
Cd19 0.835 0.829 0.500
Cd20 0.990 0.332 0.500

Top 8 peaks for 10° ≤ 2θ ≤ 90°, by intensity:
2θ (°)	I_rel
15.0	100
35.8	85
41.0	43
39.1	42
34.4	39
37.9	31
37.2	28
74.6	22



Please write out number 3 again, unchanged.
The following is a computed XRD peak list of NaMg2Cd3. It was derived from the PBE geometry in Alexandria, using Cu Kα.